Portfolio Balancing Part 3 – What Should Your Portfolio Look Like?

Over the course of the first and second articles we’ve investigated how the four main asset classes can be used in your personal investment portfolio to manage your monthly expenses, while maintaining the liquidity necessary to your lifestyle. To make for an exciting conclusion of this three part series, we’re now going to look at precisely how it is that you can balance the categories of assets in your portfolio to ensure the most effective outcomes.

While an individual portfolio’s structure will depend on the long-term goals of the investor them self, the general themes will usually be the same:

Cash Instruments are consistently the smallest portion of the portfolio, as it they represent stagnant money. While it is important to maintain at least 5% of your portfolio in this category to ensure that you can make payments and purchases during times of opportunity, this amount will generally be kept to a minimum.

Fixed Income positions will generally take up a majority position of a portfolio, because of their ability to manage an individual’s living expenses. By keeping at least 30% of a portfolio in fixed-income securities, an investor is able to apply the benefits of their portfolio towards their lifestyle today, as opposed to delaying gratification.

Equity Securities should ideally take up the remaining majority position of a portfolio that Fixed Income Securities do not already cover. Equity Securities represent your willingness to save for the long-term future. By holding them, you must be able to afford the long-term commitment required to hold these stocks until they reach their appropriate value.

While this category may take a second-priority to fixed-income (because you’re going concerns right now should always take priority), the greater returns generally seen by equity investments over the long-term will make up for this differential, and create the balance of returns that make them worth the purchase.

Physical Assets should be evaluated within your portfolio against their ability to facilitate your long-term financial goals. If you bought a house with the specific intentions of fixing it up to improve its value, you should look at it as an investment that incrementally increases in value based on the amount of time you spend improving it, and then maybe consider that to be a portion of your Equity Securities investments. If you bought a house based on your ability to get an affordable mortgage, you can consider it as a regular cost that requires additional supplementation from a strong fixed-income portfolio.

From a practical portfolio standpoint, the following examples all serve as a specific portfolio model that can be used to maximize the value you get from your personal investments:

  • Investing for Income

    This is the portfolio that is best tailored towards an individual entering their early-mid earning years. You have bills to pay, maybe a mortgage, and you need to make ends meet, while still making reasonable contributions towards the future. You’ll need less liquidity because you’ll have planned out your incomes well enough to handle them with your fixed income investments.

    Your equity securities will also be a bit smaller compared to other portfolios because you’re more concerned with reducing your living obligations. Your goal here is to strengthen your position today, so that you can build a greater future tomorrow.

    Money Instruments: 5-10%
    Fixed-Income: 70-80%
    Equity Securities: 10-25%

    Physical Assets

    You’re trying to pay off the balance on that home/car loan, so your physical assets should be looked at as holding back your fixed-income payments. Balance those payments out so that you can free yourself from that obligation.

  • Investing for Growth

== What comes next are calculated crystals, not part of the piece ==
- - -
Record 1
Crystalline Tl3Pd12Pb at its relaxed geometry. Source: Alexandria, functional PBE-GGA.

a = 4.0921 Å, b = 4.0921 Å, c = 16.3551 Å
α = 90.00°, β = 90.00°, γ = 90.00°
With the nearest neighbours (Å) after each atom.
Space group P4/mmm (No. 123)
Inequivalent atoms, fractional coordinates:
Tl1 0.0000 0.0000 0.0000 [1 per cell]  12 Pd 2.89
Tl2 0.0000 0.0000 0.2486 [2 per cell]  12 Pd 2.88-2.90
Pd1 0.0000 0.5000 0.1247 [4 per cell]  4 Tl 2.88-2.89, 8 Pd 2.89-2.90
Pd2 0.0000 0.5000 0.3744 [4 per cell]  8 Pd 2.88-2.90, 2 Pb 2.90, 2 Tl 2.90
Pd3 0.5000 0.5000 0.0000 [1 per cell]  8 Pd 2.89, 4 Tl 2.89
Pd4 0.5000 0.5000 0.2503 [2 per cell]  8 Pd 2.88-2.90, 4 Tl 2.89
Pd5 0.5000 0.5000 0.5000 [1 per cell]  4 Pb 2.89, 8 Pd 2.90
Pb1 0.0000 0.0000 0.5000 [1 per cell]  12 Pd 2.89-2.90

Summary:
Magnetic moment in μB per cell: 0.0
Energy relative to the elements in eV/atom: -0.208
Crystal system: tetragonal


Record 2
Crystalline TlPdPb3 at its relaxed geometry. Source: Alexandria, functional PBE-GGA.

a = 9.6118 Å, b = 4.6312 Å, c = 12.6889 Å
α = 90.00°, β = 90.00°, γ = 90.00°
With the nearest neighbours (Å) after each atom.
Space group Pnma (No. 62)
Inequivalent atoms, fractional coordinates:
Tl1 0.1492 0.2500 0.0009 [4 per cell]  8 Pb 3.35-3.72, 2 Tl 3.69
Pd1 0.0682 0.2500 0.3472 [4 per cell]  7 Pb 2.82-2.94
Pb1 0.0867 0.2500 0.5745 [4 per cell]  3 Pd 2.89-2.93
Pb2 0.1194 0.7500 0.2098 [4 per cell]  2 Pd 2.94
Pb3 0.1427 0.7500 0.8096 [4 per cell]  2 Pd 2.82-2.84

Summary:
Magnetic moment in μB per cell: 0.0
Energy relative to the elements in eV/atom: -0.078
Excess energy over the best structure of this formula in the dataset in meV per atom: 21
Crystal system: orthorhombic


Record 3
Crystalline TlPdPb at its relaxed geometry. Source: Alexandria, functional PBE-GGA.

a = 4.3558 Å, b = 4.3558 Å, c = 4.8017 Å
α = 90.00°, β = 90.00°, γ = 120.00°
With the nearest neighbours (Å) after each atom.
Space group P3m1 (No. 156)
Inequivalent atoms, fractional coordinates:
Tl1 0.0000 0.0000 0.0000 [1 per cell]  3 Pd 2.84
Pd1 0.3333 0.6667 0.7230 [1 per cell]  3 Pb 2.84, 3 Tl 2.84
Pb1 0.6667 0.3333 0.4499 [1 per cell]  3 Pd 2.84

Summary:
Magnetic moment in μB per cell: 0.0
Energy relative to the elements in eV/atom: -0.011
Excess energy over the best structure of this formula in the dataset in meV per atom: 155
Crystal system: trigonal


Record 4
Crystalline TlPdPb3 at its relaxed geometry. Source: Alexandria, functional PBE-GGA.

a = 5.4303 Å, b = 5.4303 Å, c = 5.4303 Å
α = 90.00°, β = 90.00°, γ = 90.00°
With the nearest neighbours (Å) after each atom.
Space group Pm-3m (No. 221)
Inequivalent atoms, fractional coordinates:
Tl1 0.0000 0.0000 0.0000 [1 per cell]  12 Pb 3.84
Pd1 0.5000 0.5000 0.5000 [1 per cell]  6 Pb 2.72
Pb1 0.0000 0.5000 0.5000 [3 per cell]  2 Pd 2.72

Summary:
Magnetic moment in μB per cell: 0.0
Energy relative to the elements in eV/atom: 0.061
Excess energy over the best structure of this formula in the dataset in meV per atom: 160
- - -
== Here the piece continues ==

    This portfolio is made for people in the mid-late earning years of their lives, looking to kick-start their retirement savings. Your bills and debts are under control, and you’re entering the peak of your salary years. Now is the time to start making the equity commitments, while holding a bit more liquidity so that you can be ready to pounce on the market whenever those big earnings opportunities arise.

    Money Instrument: 10-30%
    Fixed-Income: 10-50%
    Equity Securities: 40-60%

    Physical Assets

    In this portfolio, your assets empower you to generate returns. They provide you with equity for leverage, and act as an investment opportunity in themselves through improvements. Consider your physical assets as a supplement to your equity securities, and start thinking about how it is you can cash out on this value.

  • Investing Towards a Goal

    This portfolio is tailored for people with specific goals in mind. Buying a home, taking a vacation, or saving for a child’s education are all examples of concrete goals in the mid-term future, which can be saved for through a portfolio. Because we have a tangible goal on the line, we want to have certainty about the availability of funds by the time of the deadline. This means that risk, as well as stagnant cash, is generally unacceptable. We want predictability more than anything, which makes this strategy similar to the above income portfolio, except that it allows for a bit more flexibility in the use of equities.

    Money Instruments: 5-10%
    Fixed Income: 50-75%
    Equity Securities: 15-45% (focus on reliable dividends for this model)

    Physical Asset

    A discrete goal should generally be considered against its contribution towards your portfolio’s overall value. If you are making a purchase (such as a house), think of how it is that this goal contributes to your overall net-worth, as well as how it will serve as a long-term investment or burden. If your goal is more intangible, consider it as a function of your overall returns (ie. That $10,000 vacation is a reward that your portfolio purchased for you).

While these are still only a few basic examples of portfolio balancing, it illustrates how it is that you can apply your investments towards creating an investment strategy that is most relevant to you. Take a moment to think about how it is that each of these strategies could apply to a different aspect of your lifestyle or goals, and you may be able to clarify for yourself what parts of these factors are most important to your life, and how you can use them to your advantage.